The installation of pulsating nozzles has eliminated the recurring problem of coal chute obstruction. Preventive cleaning of sensitive areas on the wall has ensured the continuity of the chute and the absence of the need for service interference as part of mechanical cleaning. Continuity of the chute is maintained and thus ensuring efficient boiler operation.
Lead time
Before installation
Before the installation of the pulsating nozzles, compressed air manifolds were designed, fabricated as well as installed. The assembly, fabrication as well as connection of the manifolds rested with the plant companies with our supervision.
Control cabinets were also prepared in advance, as well as the completion of equipment components included in the pulsating nozzle installation for the particular assembly solution.
During the coal feed threading off
Making 8 holes in the double walls with difficult access to the center of the chutes as well as limited space around the working area. Installation of mounting elements with wear-resistant sheet metal as well as nozzle installation including connection.
_The article is interrupted by records of crystals_
<<<
(1)
Entry from Alexandria via LeMat-Bulk: La2Pm4SmTm after structural relaxation (PBE).

Properties
Calculated total energy: -75.79 eV/cell
Theoretical density: 7.076 Mg/m³
Fermi-level density of states: 12.49 states/eV/f.u.
SG: P-1
ΔE_f: 0.2 eV per formula unit

```
16
Lattice="-3.3993 -3.6204 -11.6449 6.4945 -3.2026 -0.8943 -6.4367 0.5230 10.8834" Properties=species:S:1:pos:R:3 pbc="T T T"
La -1.6997 -1.8102 -5.8224
La -4.9180 -1.5487 -0.3808
La -3.2183 0.2615 5.4417
La 1.5476 -3.4115 -6.2696
Pm 4.0502 -3.3229 -3.5344
Pm -4.1257 -3.2943 -3.4732
Pm 0.7842 -3.0058 1.8174
Pm -7.3918 -2.9773 1.8784
Pm -4.0926 -4.6029 1.4242
Pm -0.9300 -4.8685 -3.9147
Pm -2.4115 -1.4316 2.2589
Pm 0.7511 -1.6972 -3.0800
Sm 3.2472 -1.6013 -0.4471
Sm -3.3704 -4.9602 -6.6504
Tm -1.6707 -3.1501 -0.8279
Tm -9.8360 -3.0975 -0.7615
```

---

(2)
Entry from Alexandria via LeMat-Bulk: RbY3Se after structural relaxation (PBE).

Properties
E_form (uncorrected): -0.13 eV per atom
Calculated total energy: -24.51 eV/cell
Theoretical density: 3.962 Mg/m³
Fermi-level density of states: 7.72 states/eV/f.u.
SG: Pm-3m
Relative energy among the computed polymorphs: 0.000 eV/atom

```
5
Lattice="-4.0436 3.8490 0.8917 -3.4345 -4.0550 1.9291 1.9530 0.8380 5.2387" Properties=species:S:1:pos:R:3 pbc="T T T"
Y -1.7172 -2.0275 0.9645
Y 0.9765 0.4190 2.6193
Y -2.0218 1.9245 0.4459
Se 0.0000 0.0000 0.0000
Rb -2.7625 0.3160 4.0297
```

---

(3)
Entry from Alexandria via LeMat-Bulk: SrYP3 after structural relaxation (PBE).

Properties
Calculated total energy: -21.33 eV/cell
Theoretical density: 3.183 Mg/m³
Fermi-level density of states: 5.98 states/eV/f.u.
SG: Pm-3m
Relative energy among the computed polymorphs: 0.857 eV/atom
ΔE_f: 3.0 eV per formula unit

```
5
Lattice="5.1997 0.0000 0.0000 0.0000 5.1997 0.0000 0.0000 0.0000 5.1997" Properties=species:S:1:pos:R:3 pbc="T T T"
Y 2.5999 2.5999 2.5999
Sr 0.0000 0.0000 0.0000
P 0.0000 2.5999 0.0000
P 0.0000 0.0000 2.5999
P 2.5999 0.0000 0.0000
```

---

(4)
Entry from Alexandria via LeMat-Bulk: InTc2 after structural relaxation (PBE).

Properties
Calculated total energy: -43.00 eV/cell
Theoretical density: 9.018 Mg/m³
Fermi-level density of states: 2.98 states/eV/f.u.
SG: I4_1/amd
ΔE_f: 2.0 eV per formula unit

```
6
Lattice="5.1427 -0.5124 6.4330 3.9318 4.6930 5.5327 -6.6558 -2.2930 -4.3054" Properties=species:S:1:pos:R:3 pbc="T T T"
In 0.0000 0.0000 0.0000
In 1.5121 -0.3575 4.0552
Tc 5.2626 2.4245 6.9392
Tc 0.1813 1.9110 2.6487
Tc 3.8119 1.7562 5.0264
Tc 1.6319 2.5793 4.5615
```

---

(5)
Entry from Alexandria via LeMat-Bulk: Pu4Si3H4 after structural relaxation (PBE).

Properties
Calculated total energy: -91.15 eV/cell
Theoretical density: 10.193 Mg/m³
Fermi-level density of states: 34.46 states/eV/f.u.
SG: Amm2

```
11
Lattice="-0.6307 -3.9330 -0.2072 4.2013 1.1469 3.8330 -5.4484 0.5682 5.8019" Properties=species:S:1:pos:R:3 pbc="T T T"
Pu -2.9525 -1.8473 5.6635
Pu -0.2037 -2.1340 2.7364
Pu 0.6192 -2.4541 6.3088
Pu 0.0000 0.0000 0.0000
>>>
_The records of crystals stop here_
Pre-prepared control cabinets were installed at the nozzle work area, and control cables were distributed after the installation of the pulsating nozzles.
Customer problem
********
# Be2SbSe | Alexandria via LeMat-Bulk | PBE | optimized geometry
data_Be2SbSe
_chemical_formula_sum 'Be2 Sb1 Se1'
_cell_length_a 3.170
_cell_length_b 3.170
_cell_length_c 6.660
_cell_angle_alpha 90.00
_cell_angle_beta 90.00
_cell_angle_gamma 90.00
_space_group_name_H-M_alt 'P 4/m m m'
_space_group_IT_number 123
_space_group_name_Hall '-P 4 2'
loop_
_atom_site_label
_atom_site_type_symbol
_atom_site_fract_x
_atom_site_fract_y
_atom_site_fract_z
Be1 Be 0.000 0.000 0.176
Sb1 Sb 0.500 0.500 0.500
Se1 Se 0.500 0.500 0.000
# E_form (uncorrected)   510 meV per atom
# Calculated total energy   -3.255 eV/atom
# Mass density   5.427 g/cm3
# Excess energy over the best structure of this formula in the dataset   761 meV per atom

# BeSbSe2 | Alexandria via LeMat-Bulk | PBE | optimized geometry
data_BeSbSe2
_chemical_formula_sum 'Be1 Sb1 Se2'
_cell_length_a 3.281
_cell_length_b 4.361
_cell_length_c 5.768
_cell_angle_alpha 90.00
_cell_angle_beta 90.00
_cell_angle_gamma 90.00
_space_group_name_H-M_alt 'P m m m'
_space_group_IT_number 47
loop_
_space_group_symop_operation_xyz
'x,y,z'
'-x,-y,-z'
'-x,-y,z'
'x,y,-z'
'x,-y,-z'
'-x,y,z'
'-x,y,-z'
'x,-y,z'
loop_
_atom_site_label
_atom_site_type_symbol
_atom_site_fract_x
_atom_site_fract_y
_atom_site_fract_z
Be1 Be 0.000 0.000 0.000
Sb1 Sb 0.500 0.500 0.000
Se1 Se 0.000 0.500 0.500
Se2 Se 0.500 0.000 0.500
# E_form (uncorrected)   529 meV per atom
# Calculated total energy   -3.176 eV/atom
# Mass density   5.808 g/cm3
# Excess energy over the best structure of this formula in the dataset   780 meV per atom

# BeSbSe2 | Alexandria via LeMat-Bulk | PBE | optimized geometry
data_BeSbSe2
_chemical_formula_sum 'Be4 Sb4 Se8'
_cell_length_a 5.238
_cell_length_b 8.059
_cell_length_c 8.080
_cell_angle_alpha 90.00
_cell_angle_beta 90.00
_cell_angle_gamma 90.00
_space_group_name_H-M_alt 'F m m m'
_space_group_IT_number 69
_space_group_name_Hall '-F 2 2'
loop_
_atom_site_label
_atom_site_type_symbol
_atom_site_fract_x
_atom_site_fract_y
_atom_site_fract_z
Be1 Be 0.000 0.000 0.000
Sb1 Sb 0.000 0.000 0.500
Se1 Se 0.000 0.250 0.250
# E_form (uncorrected)   115 meV per atom
# Calculated total energy   -3.590 eV/atom
# Mass density   5.621 g/cm3
# Excess energy over the best structure of this formula in the dataset   366 meV per atom

# BeSbSe2 | Alexandria via LeMat-Bulk | PBE | optimized geometry
data_BeSbSe2
_chemical_formula_sum 'Be2 Sb2 Se4'
_cell_length_a 5.536
_cell_length_b 7.910
_cell_length_c 3.691
_cell_angle_alpha 90.00
_cell_angle_beta 90.00
_cell_angle_gamma 90.00
_space_group_name_H-M_alt 'C m m m'
_space_group_IT_number 65
_space_group_name_Hall '-C 2 2'
loop_
_atom_site_label
_atom_site_type_symbol
_atom_site_fract_x
_atom_site_fract_y
_atom_site_fract_z
Be1 Be 0.000 0.000 0.000
Sb1 Sb 0.000 0.500 0.000
Se1 Se 0.000 0.215 0.500
# E_form (uncorrected)   61 meV per atom
# Calculated total energy   -3.643 eV/atom
# Mass density   5.933 g/cm3
********
**Here the entry continues**
Due to the deteriorating quality of the fuel, the geometry of the coal chutes for the screw feeder was a contributor to wall cladding. The buildup of solid fuel over time resulted in a restriction of the fed material thus to a decrease in the power and efficiency of the power boiler as well as problems with removing the backed-up material.
Despite lining the chutes with stainless steel or plastic, the sticking effect continued. The final solution was mechanical cleaning and scraping of the coal. This, in turn, could only be done during haul-off, which generated significant losses.
One of the biggest challenges in this sentence was the limited operating time. Both the time to prepare for the installation and the time to install it. Efficient logistics and execution activities, as well as stockpiles, allowed the time from order to execution to be reduced to a minimum. In addition, the installation of coal feeding after all also put off due to other repairs is the time that was allocated for the installation of nozzles was no more than 48h. The density of the installation’s other equipment, the limited time as well as the drilling of double walls posed a challenge, but not one that could not be met. Our installers also efficiently dealt with newly arising problems during the work.
- Site inspection, discussions with the staff as well as determination of the locations of installation of pulsating nozzles
- Installation of pulsating nozzles placed on 2 chutes in the most critical areas (2 chutes on each 4 nozzles)
- Activation and adjustment of the nozzle algorithm to the prevailing conditions while reducing compressed air consumption
- Pulse nozzles VA-51C
- Fitting elements of the MPS-51C-TK2 series – elements with wear-resistant steel plate
- Control cabinet using Siemens LOGO PLC controller
What did we do as part of the project?
We used our experience from coal handling projects and conducted an in-depth analysis of the fuel feeding process and geometry of the carburization system. We designed the installation of pulsating nozzles with local control.
The installation design mainly included dedicated installation of the pulsating nozzle system as well as the local control system.